1. Short questions
a) Problem Solving: describe, in one sentence, the following terms, when applied to AI domains.
1. Fully observable:
Inserted here: calculated molecules:
........
Entry 1:
........
2. Deterministic:
3. Stochastic:
b) Heuristics: what is a heuristic in the context of problem solving.
c) Heuristics: what is an admissible heuristic?
d) Adversarial search 1: Can we use A∗ for playing games like Chess or Othello? If you answered yes, would it work better than Minimax? If you answered no, why not?
2.Water Jugs
You have two jugs (A and B), measuring 3 gallons and 4 gallons respectively, and a water faucet. You can fill the jugs up or empty them out from one to another or onto the ground. You need to measure out exactly 2 gallons. When doing search, actions are expanded in the following order: 1) fill jug A form the faucet, 2) fill jug B from the faucet, 3) empty jug A, 4) empty jug B, 5) fill jug A from jug B, 6) fill jug B from jug A.
1.Find a solution starting from the state (0, 0) using breadth-first search, not repeating any state. Draw the resulting search tree (clue, the resulting tree has less than 10 nodes).
2. Find a solution starting from the state (0, 0) using depth-first search, not repeating any state. Draw the resulting search tree (clue, the resulting tree has less than 10 nodes).
3.Let the cost of every action be 1. If we represent a state as a pair (a, b), where a is the amount of water in jug A, and b is the amount of water in jug B, is the function h(a, b) = |a − b| an admissible heuristic? Justify your answer
3.Adversarial Search
Consider the following game tree, where it is the maximizer’s turn to play, and the game does not involve randomness. The values in the leaf nodes represent the values computed by the evaluation function (higher scores are better for the maximizer)
1.Write the values of the intermediate nodes inside their circles, and indicate the proper move of the maximizer by circling one of the root’s outgoing arcs
2.Is there any node in the tree above that would be pruned using α − β pruning? which ones?
3.If you are allowed to reorder the nodes in the tree above. Can you reorder them in a way that α − β will prune even more nodes? Show the best order you can find for the tree above.
4 First-Order Logic
Let us assume that:
• onTop(x1, x2) means that object x1 is on top of another object x2 (e.g. we could write onTop(Box1, Box2)).
• shape(x,s) means that object x is of shape s (e.g. shape(Box1, Cube))
• color(x,c) means that object x is of color c (e.g. color(Box1, Green))
[Quantum chemistry results, kept here for reference]
........
Entry from OMol25: a 2-piece molecular cluster, C2H6N3O overall in a non-equilibrium geometry (ωB97M-V/def2-TZVPD).

Structure (XYZ):
```
12
C2H6N3O ωB97M-V/def2-TZVPD
C -2.0836 0.3239 -0.4498
C 0.0073 0.0015 0.3218
N -1.9889 -0.9088 0.3603
N -0.8208 -1.1245 0.6922
N 1.3347 -0.3190 -0.2741
O -0.7133 0.7897 -0.5692
H -2.6447 0.2961 -1.4091
H -2.8470 1.0083 -0.0434
H 0.2946 0.5569 1.6812
H 2.2021 0.3718 -0.2684
H 1.1701 -0.4234 -1.2906
H 1.7092 -1.1966 0.0472
```

**Energy**: -318.92344 Ha
**Lowest unoccupied orbital energy**: -4.6229 eV
**Net charge**: +1
**HOMO level**: -15.00 eV
**Energy relative to the best compared isomer or geometry (same formula, charge and spin)**: 4.868 eV

***

Entry from OMol25: a 8-piece molecular cluster, C5H25NO8 overall in a non-equilibrium geometry (ωB97M-V/def2-TZVPD).

Structure (XYZ):
```
39
C5H25NO8 ωB97M-V/def2-TZVPD
C 2.3856 -3.4524 0.4879
C 0.9909 -2.9977 0.1747
C 0.8118 -2.2719 -1.1674
C 0.7689 -0.7584 -0.8929
N 0.8326 0.1178 -2.0743
C 2.0821 -0.3531 -0.1223
O 3.1111 -0.2315 -0.7123
H 2.6052 -3.7190 1.5151
H 2.6878 -4.2973 -0.1202
H 3.2043 -2.7558 0.2642
H 0.5186 -2.4562 0.9920
H 0.3006 -3.8357 0.3544
H 1.6147 -2.6754 -1.7662
H -0.1886 -2.3953 -1.5906
H -0.1364 -0.4153 -0.3963
H -0.0613 0.3929 -2.4422
H 1.5769 -0.0460 -2.7229
H 1.8605 -0.3347 0.9612
O -2.5847 -0.8797 -1.5460
H -3.4361 -0.4915 -1.7649
H -2.1299 -0.0863 -1.2353
O -1.7281 2.3724 0.9606
H -2.1462 1.7530 1.5926
H -0.8657 2.2532 1.3901
O 1.1393 2.7711 2.2682
H 1.9659 2.5993 2.7275
H 1.3877 3.1447 1.4142
O -4.5843 -1.1848 0.6080
H -4.2122 -2.0712 0.5862
H -4.0513 -0.6836 -0.0191
O -0.8222 0.7431 4.0590
H -0.5163 1.4354 3.4655
H -1.5482 1.1594 4.5268
O -2.3844 1.8299 -2.0557
H -2.1817 2.2278 -2.9021
H -2.0999 2.4125 -1.3463
O 2.0146 2.3978 -0.6872
H 2.8006 2.9409 -0.5922
H 1.8757 2.0949 -1.5908
```

**Energy**: -862.12627 Ha
**Lowest unoccupied orbital energy**: 0.2098 eV
**Net charge**: 0
**HOMO level**: -8.74 eV
**Structure (SMILES)**: CCC[C@H](N)C=O.O.O.O.O.O.O.O
**Energy relative to the best compared isomer or geometry (same formula, charge and spin)**: 2.926 eV

***

Entry from OMol25: a 5-piece molecular cluster, C38H64IN3O8S overall in a non-equilibrium geometry (ωB97M-V/def2-TZVPD).

Structure (XYZ):
```
115
C38H64IN3O8S ωB97M-V/def2-TZVPD
C 4.7246 -3.9905 1.1449
C 5.3945 -3.7642 -0.3059
C 6.1996 -2.3610 -0.3131
C 5.2129 -1.0908 -0.5885
C 4.6883 -0.4679 0.7900
C 3.9429 0.9383 0.5841
C 2.3192 0.8274 0.6828
C 1.7568 2.2787 0.2819
C 0.1585 2.3555 0.0887
C -0.5703 0.9191 0.2278
C -0.6275 -0.1039 -0.9712
I 0.4250 0.5733 -2.7782
C -1.3693 -1.4857 -0.8778
C -1.3964 -2.4627 -2.1546
C -2.5637 -2.1392 -3.2098
N -2.3121 -3.0356 -4.3958
N -2.5697 -0.7509 -3.7485
N -3.9409 -2.4412 -2.7377
C -2.0706 -1.8912 0.4776
S -2.9738 -3.4779 0.7596
C -2.0252 -4.6735 1.8599
O -3.3039 -4.2558 -0.4850
O -4.3108 -3.1004 1.3933
C -1.9793 -0.9006 1.6960
C -1.2447 0.4823 1.5462
C -1.1864 1.4481 2.8340
O -0.2118 2.1768 3.1270
C -2.4766 1.3820 3.7860
........
[Here the article continues]
• Cube and Pyramid are two types of shapes objects can have, and Red, Green are two colors objects can have.
1.Do the following pairs of terms in this language unify, and what are the corresponding variable substitutions (Assume that xi and yi are variables, and the rest are constants):
• onTop(x1, Box2) and onTop(Box1, y1)
• onTop(x1, P yramid) and onTop(y1, y1)
• onTop(x1, f(x2)) and onTop(f(y1), f(Box1))
• onTop(x1, f(x1)) and onTop(f(y1), f(Box1))
2.Using this vocabulary, write down (in FOL) the fact that all Pyramids are Green.
3.Using this vocabulary, write down (in FOL) the fact that every object on top of a Cube is a Pyramid.
5.Search, constraint satisfaction
A domino is made by sticking together two squares along an edge. An n-omino is made by sticking together n squares along edges, any way you please. Thus, there is only one possible domino shape, but there are two distinct 3-ominoes (3-in-a-row and L-shaped)
1.Suppose we have to construct an n-omino that is beautiful, for fixed n. Give a complete formulation of the search problem that corresponds to this task, assuming that a beauty detector is available.
2.Identify a suitable search algorithm for this task and explain your choice
3.Now consider the problem of tiling a given n-omino with dominoes, that is covering it exactly without overlapping any dominoes. Formulate this problem precisely as a constraint satisfaction problem.